Monday, August 22, 2011

John McCain: Not Fit to Run A Baskin Robbins

It's an idea that is astonishing in its singular stupidity: John McCain wants to impose reparations costs on the Libyan people for the money we spent supporting their revolution:

How this guy could ever have been taken seriously as a presidential candidate is a complete mystery, because as this tweet shows, McCain clearly hasn't the intellect, the temperament or the wisdom to manage a Baskin Robbins, let alone the world's lone Superpower. Recall that McCain isn't just another U.S. Senator: he was the GOP's last presidential candidate. There are certain responsibilities that inhere with that emeritas role, and one of the things the onetime GOP standardbearer absolutely should not do is go around antagonizing a nascent democracy and potential ally by shooting his mouth off in such a stupid manner.

(Via Wonkette)

Thursday, August 18, 2011

Taking down Kevin Williamson

Andrew Sullivan today links to a critique of Paul Krugam's analysis of the so-called "Texas Miracle" in job creation over the past few years. The critique is by Kevin Williamson and appears in the National Review. I won't quote from the article extensively (you can follow the link and read it yourself) but I will offer my own rebuttal of its claims:

1) Cost of living: Krugman specifically acknowledges that Texas has lower cost of living (when noting the lower cost of housing), and that this lowered cost of living plays a factor in attracting both immigrants and businesses (since they can pay lower wages). So why Williamson spends so much time arguing against this straw man is a mystery to me. What is important is the significance of this lower cost of living to the current political debate: Texas' lower cost of living is not something that can be replicated on a national scale, so it can't possibly speak to Perry's attractiveness as a presidential candidate. Krugman sees this. Williamson, for some reason, does not.

2) Health insurance: Williamson dismisses statistics showing that Texas has a distressingly high percentage of uninsured residents by noting that the state has a high proportion of people under age 18. This is a perfectly bizarre defense of Texas' low rates of insurance. For one thing, residents under the age of 18 should be more likely to be insured, since they are generally covered under their parents’ plans. Furthermore, statistics also show that Texas has one of (if not the) highest rate of uninsured children in the nation. It's puzzling, then, that Williamson thinks that demographics somehow excuse the sad state of health insurance rates in Texas.

3) Unemployment: when you track actual job growth against population growth, you see that Texas pretty much follows national trends these past few years, and this statistic by itself refutes the notion that Texas has showed exemplary job growth. Williamson's entire article is premised on the notion that it was job growth spurred immigration into Texas and not vice versa. But the high unemployment rate in Texas belies this thesis, because what this high unemployment rate means is that for Texas to have been an engine of jobs in an otherwise depressed economy, it would have had to be very peculiar engine of jobs. It would have to have been an engine that created jobs that could only be filled by people outside Texas. Think about it: you've got an economy that is supposedly creating thousands of jobs intrinsically (that is, they are not being created as a result of population growth) but these are jobs that cannot be filled by native Texans (who live there, and don't have to deal with the economic burden and inconvenience of selling their homes and moving). Instead, they must be filled by out-of-staters. And even if this (credulity straining) situation proved true it would merely speak to the exceedingly poor state of education in Texas (and don't forget that Perry and the GOP legislature have slashed billions from education in recent budgets, as a way to avoid raising taxes.)

Monday, August 8, 2011

No right to judge...

Data records from another source follow:
........
# SbC2O5

A relaxed SbC2O5 crystal (GGA-PBE, the Materials Project).

abc: 5.7410 11.2287 6.1966
angles: 90.00 90.00 90.00
Last column: nearest neighbours and their distance in Å.
Space group Pnma (No. 62)
One atom of each set of equivalent atoms:
1 Sb 0.1926 0.2500 0.0602  2 O 1.94-1.99
2 C 0.1078 0.5235 0.0626  2 O 1.26-1.27
3 O 0.0182 0.2500 0.3276  2 Sb 1.94-1.99
4 O 0.1110 0.6322 0.1128  1 C 1.26
5 O 0.2329 0.5507 0.6055  1 C 1.27

Calculated values
crystal system: orthorhombic
DFT formation energy: -1484 meV/atom
electronic total energy: -6.97 eV/atom


# MgSi2

A relaxed MgSi2 crystal (GGA-PBE, the Materials Project).

abc: 10.2482 3.7171 6.8016
angles: 90.00 124.42 90.00
Last column: nearest neighbours and their distance in Å.
Space group C2/m (No. 12)
One atom of each set of equivalent atoms:
1 Mg 0.0774 0.0000 0.3566  9 Si 2.80-3.06
2 Si 0.1329 0.5000 0.0532  4 Si 2.39-2.54
3 Si 0.1867 0.5000 0.7310  3 Si 2.44-2.54

Calculated values
crystal system: monoclinic
DFT formation energy: 155 meV/atom
electronic total energy: -4.04 eV/atom


# SiP4PdPbO14

A relaxed SiP4PdPbO14 crystal (GGA-PBE, the Materials Project).

abc: 4.6575 17.4082 6.5350
angles: 90.00 102.05 90.00
Last column: nearest neighbours and their distance in Å.
Space group P2_1/m (No. 11)
One atom of each set of equivalent atoms:
1 Si 0.0000 0.0000 0.0000  6 O 1.76-1.81
2 P 0.1165 0.1228 0.3530  4 O 1.53-1.60
3 P 0.4317 0.0863 0.7776  4 O 1.52-1.62
4 Pd 0.3811 0.7500 0.6426  4 O 2.02-2.04
5 Pb 0.1029 0.2500 0.8604  4 O 2.53-2.80
6 O 0.0672 0.5677 0.8042  1 P 1.53
7 O 0.0726 0.6697 0.5243  1 P 1.54
8 O 0.1594 0.0746 0.8746  1 P 1.54
9 O 0.3092 0.1714 0.2368  1 P 1.54
10 O 0.3223 0.0714 0.5280  2 P 1.60-1.62
11 O 0.3442 0.5225 0.1594  1 P 1.52
12 O 0.4658 0.6689 0.1878  1 P 1.52

Calculated values
crystal system: monoclinic
DFT formation energy: -2465 meV/atom
electronic total energy: -7.02 eV/atom


# Hg

A relaxed Hg crystal (GGA-PBE, the Materials Project).

abc: 6.4543 6.4543 6.6894
angles: 90.00 90.00 90.00
Last column: nearest neighbours and their distance in Å.
Space group I-42d (No. 122)
One atom of each set of equivalent atoms:
1 Hg 0.2043 0.7500 0.1250  6 Hg 3.39-3.40

Calculated values
crystal system: tetragonal
DFT formation energy: 28 meV/atom
electronic total energy: -0.28 eV/atom

* * * * *

Compound: NaH15O8
Source: Materials Project
Functional: r²SCAN
Structure: relaxed

For the formation energy from the elements, the calculation gives -1.111 eV/atom. As for the total DFT energy (no corrections): -0.3976 Ry per atom.

Cell lengths 7.212, 15.994, 6.723 Å; angles 90.00, 92.24, 90.00 degrees
Element x y z (fractional)
Na1 0.544 0.259 0.021
Na2 0.456 0.759 0.479
Na3 0.456 0.741 0.979
Na4 0.544 0.241 0.521
H1 0.190 0.487 0.542
H2 0.810 0.987 0.958
H3 0.810 0.513 0.458
H4 0.190 0.013 0.042
H5 0.872 0.222 0.778
H6 0.128 0.722 0.722
H7 0.128 0.778 0.222
H8 0.872 0.278 0.278
H9 0.817 0.318 0.767
H10 0.183 0.818 0.733
H11 0.183 0.682 0.233
H12 0.817 0.182 0.267
........

Standard & Poors' recent decision to downgrade the United States credit rating from AAA to a AA+ has caused not a little handwringing among the chattering classes. The move dominated the financial news over the weekend, and investors the world over are wondering just what it means for the future borrowing costs of the world's largest economy.

Which is pretty silly.

Because truth be told, in the grand scheme of things and once the dust settles, Standard & Poor's rating of United States debt will prove about as relevant to investors as an unknown blogger's review of the latest Hollywood blockbuster is to the movie industry as a whole. Which is to say: about none at all. Indeed, it's a mystery why the the rating downgrade caused any sort of flare up at all, given Standard and Poor's miserable track record issuing ratings over the past few years. As both Paul Krugman and Daniel Gross have pointed out in recent columns, Standard & Poors' poor judgment in assessing the risks of securitized mortgage debt helped enable the 2008 economic collapse. Krugman is amazed at the Chutzpah:
America’s large budget deficit is, after all, primarily the result of the economic slump that followed the 2008 financial crisis. And S.& P., along with its sister rating agencies, played a major role in causing that crisis, by giving AAA ratings to mortgage-backed assets that have since turned into toxic waste.

Nor did the bad judgment stop there. Notoriously, S.& P. gave Lehman Brothers, whose collapse triggered a global panic, an A rating right up to the month of its demise. And how did the rating agency react after this A-rated firm went bankrupt? By issuing a report denying that it had done anything wrong.

So these people are now pronouncing on the creditworthiness of the United States of America?

And Gross reminds us that S&P's ratings of sovereign debt are both capricous and irrelevant:
S&P, which covered itself in a substance other than glory during the mortgage crisis, may have a poor record and strange methodology when it comes to sovereign ratings. France, which has a far higher debt per capita ratio than the U.S., still enjoys a AAA rating. And a downgrade, alone, doesn't mean U.S. interest rates will spike -- on Monday or at any time in the future. Japan's credit rating was downgraded several years ago, when the interest rates its government paid on bonds was already extremely low, and they've generally trended lower in the years since

My personal view is that, given the rating agencies' dysmal performance throught the 2000's, the current move by Standard is little more than an attempt to appear "serious, prudent" and "conservative" by issuing a "shocking" judgement that, on closer examination, looks to have been arrived at through the arduous, precise and scientific process of dilligently exaggerating currently fashionable cliches. Because S&P's downgrade of U.S. debt is an obvious and laughably transparent over-correction. Having given Lehman and the Subprime Mortgage market an undeserved vote of confidence just before they collapsed, Standard & Poor's seeks to repair its reputation by issuing the United States and undeserved downgrade. Yet as the driver who swerves left to avoid a ditch well knows, over-correction can just as surely leave you stranded in a ditch on the opposite side. The collapse of Lehman and the securitized mortgage market revealed a corrupt, incestuous relationship existed between the ratings agencies and the debt issuers to the point that the former were unable or unwilling to perform their job. What we see here is the little man behind the curtain, imploring us to ignore the little man behind the curtain, even as he hurriedly speaks those words into a microphone and frantically turns dials and flips switches. And if there were still some doubt that Standard and Poor's assessment of U.S. debt is a joke, the revelation that the agency crunched the debt reduction numbers wrong to begin with should settle it:
Before downgrading U.S. debt, S.& P. sent a preliminary draft of its press release to the U.S. Treasury. Officials there quickly spotted a $2 trillion error in S.& P.’s calculations. And the error was the kind of thing any budget expert should have gotten right. After discussion, S.& P. conceded that it was wrong — and downgraded America anyway, after removing some of the economic analysis from its report.

As I write this, the markets are in turmoil. That's not too surprising. In the short term the stock market reflects a casino mentality as traders attempt to gauge investor mood and market direction in hopes of making a quick killing. The long term trends should remain relatively unaffected after the inital rumblings subside. That's not to say everything's hunky dory with the nation's finances, but the long-term trends are as unaffected by Standard & Poor's rating as a freight train smacking a butterfly. Just ask Japan.

(Note: This essay also appears in Stinque)

Friday, August 5, 2011

Double Dip Recession

Brought to you by your friends at the Tea Party... with a helping hand by the Mainstream Media (AKA: the GOP talking points echo chamber) and a spineless Democratic party.

As international markets echo the Dow Jones Industrial Average's 500+ point tumble, just two days after Congress and the President negotiated a deal that pulls 2.6 trillion dollars out of the U.S. economy over the next 10 years (with a promise of another trillion or two in cuts to be announced later), one can't help but be overcome by simultaneous feelings of anger, betrayal and depression. Contempt and disgust are the correct emotions to feel towards the media. When they are not actively promoting a GOP agenda aimed at weakening the U.S. economy that a Democratic president might be defeated in 2012, they're playing the role of useful idiots to the Right, complicit in the Tea Party's contemptible (and potentially treasonous) economic terrorism by virtue of their spinelessness and/or evident intellectual incuriosity. Those who are ignorant of history are condemned to repeat its mistakes, as George Santayana used to say, and the mainstream media has betrayed astonishing ignorance in their reportage. This intellectual deficit might be excusable in a laborer who puts in his daily 8 to 10 hours at a construction site then spends his evening sprawled out on the couch watching American idol, but in the men and women who are tasked with bringing and explaining the world to us it is nothing short of a crime (don't doubt for a second that your average CNN reporter spends more time putting on makeup than researching the subjects he'll be reporting on). After all, it's not like we haven't been down this road before, and it's not like we haven't seen what happens when the government slashes spending in the midst of a poor economy. It's not like we haven't been warned.